Saturday, April 2, 2011


Friday evening was spent making some treats with interesting inspiration.  Last week, at the vegan bake sale, Dough Bakery made some amazing whoopie pies.  Recently, the whoopie pie was declared Maine's state treat.  In fact, to celebrate, they made a whoopie pie that was over 1000 pounds.  That would be a crazy bedtime snack!

Records of crystals from another source follow:
/*
(1)
{"formula": "BaDy2Ga3Ge2Pt", "functional": "PBE", "state": "relaxed", "lattice": [[4.316, 0.000, 0.000], [0.000, 6.444, 3.621], [0.000, -6.444, 3.621]], "species": ["Dy", "Dy", "Ga", "Ga", "Ga", "Ge", "Ge", "Ba", "Pt"], "fractional_positions": [[0.000, 0.401, 0.996], [0.000, 0.996, 0.401], [0.500, 0.222, 0.222], [0.500, 0.774, 0.012], [0.500, 0.012, 0.774], [0.500, 0.680, 0.313], [0.500, 0.313, 0.680], [0.000, 0.580, 0.580], [0.000, 0.022, 0.022]], "total_magnetization_mub_per_atom": 0.00, "space_group": "Amm2", "dft_energy_ev_per_cell": -41.76, "crystal_system": "orthorhombic"}

(2)
{"formula": "BaDyGa4Pt2", "functional": "PBE", "state": "relaxed", "lattice": [[-1.045, -5.935, -3.726], [-5.684, 0.524, 0.760], [-4.265, 2.568, -2.894]], "species": ["Pt", "Pt", "Ga", "Ga", "Ga", "Ga", "Dy", "Ba"], "fractional_positions": [[0.000, 0.795, 0.795], [0.500, 0.207, 0.207], [0.683, 0.642, 0.642], [0.317, 0.642, 0.642], [0.795, 0.359, 0.359], [0.205, 0.359, 0.359], [0.500, 0.918, 0.918], [0.000, 0.077, 0.077]], "total_magnetization_mub_per_atom": 0.00, "space_group": "Amm2", "dft_energy_ev_per_cell": -36.29, "crystal_system": "orthorhombic"}

(3)
{"formula": "BaDyGaS3", "functional": "PBE", "state": "relaxed", "lattice": [[2.022, -7.158, 0.000], [2.022, 7.158, 0.000], [0.000, 0.000, 11.283]], "species": ["S", "S", "S", "S", "S", "S", "Ba", "Ba", "Dy", "Dy", "Ga", "Ga"], "fractional_positions": [[0.373, 0.627, 0.007], [0.007, 0.993, 0.250], [0.627, 0.373, 0.507], [0.373, 0.627, 0.493], [0.627, 0.373, 0.993], [0.993, 0.007, 0.750], [0.693, 0.307, 0.250], [0.307, 0.693, 0.750], [0.000, 0.000, 0.000], [0.000, 0.000, 0.500], [0.389, 0.611, 0.250], [0.611, 0.389, 0.750]], "total_magnetization_mub_per_atom": 0.00, "space_group": "Cmcm", "dft_energy_ev_per_cell": -61.42, "crystal_system": "orthorhombic"}

(4)
{"formula": "BaGdDy", "functional": "PBE", "state": "relaxed", "lattice": [[0.000, 4.099, 4.099], [4.099, 0.000, 4.099], [4.099, 4.099, 0.000]], "species": ["Gd", "Ba", "Dy"], "fractional_positions": [[0.500, 0.500, 0.500], [0.000, 0.000, 0.000], [0.750, 0.750, 0.750]], "total_magnetization_mub_per_atom": 0.01, "space_group": "F-43m", "dft_energy_ev_per_cell": -8.72, "crystal_system": "cubic"}

----------

# 1
The following is a PBE calculation of a geometry-optimized Tc2MoAs structure, from Alexandria via LeMat-Bulk.

total magnetization	0.0	μB/f.u.
formation energy from the elements	-10	meV/atom

Unit cell a=3.076 b=3.076 c=6.309 alpha=90.00 beta=90.00 gamma=90.00
Fractional coordinates of all 4 atoms:
As: 0.500 0.500 0.250
Mo: 0.500 0.500 0.750
Tc: 0.000 0.000 0.006
Tc: 0.000 0.000 0.494

# 2
The following is a PBE calculation of a geometry-optimized Zr2PaSb structure, from Alexandria via LeMat-Bulk.

energy relative to the elements, uncorrected	-351	meV per atom
total magnetization	0.0	μB/f.u.
distance to the lowest polymorph of the same formula	0.000	eV/atom

Unit cell a=3.997 b=4.783 c=4.783 alpha=90.00 beta=90.00 gamma=90.00
*/

These two events made me really start to want more whoopies.  I looked up some recipes and found that one of my favorite blogs, Manifest Vegan, had a good whoopie pie recipe.  For one of the first times in my life, I followed the recipe (at least for the first batch) and they came out great.  For the second batch, I began to play around with the ingredients a bit and come up with some new ideas.  I will continue to play around and come up with my own recipe to represent my home state of Maine as a vegan whoopie pie!  Until then, Manifest Vegan's recipe is great!

As a child growing up in Maine, I do recall whoopie pies being everywhere.  Most local sandwich shops had homemade whoopies wrapped on the counter for a couple of dollars.  I  can recall my mum getting the occasional whoopie on the way to the ocean on a hot summer day.  When I moved to the south, the art of the whoopie pie sort of disappeared until recently so making these was a really fun experience and reminded my of something my mum would have enjoyed.

Ashley came over and we made a whole batch of chocolate whoopies, quickly followed by our own Berry Whoopie.  It was a strawberry whoppie cake with blueberry icing.  There were some whole blueberries left in the icing which was really great, it added a lot to the texture.  It was a successful night and I now have bedtime snacks for a few days.


  1. That is some serious bedtime snack! You better watch out I might come by and steal that :-)

  2. I never had a whoopie pie and I didn't even know they came from Maine. Your version looks great and your post makes me want to try a whoopie pie.

  3. The berry whoopie pie looks amazing! Perfect summery treat!

  4. A real Whoopie with the capital W! The one with blueberries looks like an UFO :-).

_Crystal structures, kept here for reference_
Density functional theory data (GGA-PBE) for an optimized crystal structure of CdPW2.

a b c (Å): 3.8882 3.8882 4.3966
angles (deg): 90.00 90.00 90.00
With the nearest neighbours (Å) after each atom.
Fractional coordinates of all 4 atoms:
Cd 0.5000 0.5000 0.5000  4 P 2.75, 8 W 2.93
P 0.0000 0.0000 0.5000  4 Cd 2.75, 8 W 2.93
W 0.0000 0.5000 0.0000  4 W 2.75, 4 Cd 2.93, 4 P 2.93
W 0.5000 0.0000 0.0000  4 W 2.75, 4 Cd 2.93, 4 P 2.93

Properties
Density in g/cm³: 12.77
Energy above the lowest structure with this stoichiometry in kJ per mole of atoms: 63.93
Formation enthalpy at 0 K in eV/atom: 0.916
Uncorrected energy in eV/atom: -7.142
Crystal system: tetragonal
Size of the total moment in μB/cell: 0.0

---

Density functional theory data (GGA-PBE) for an optimized crystal structure of Li3Np3AgTe8.

a b c (Å): 8.5482 8.5480 8.6009
angles (deg): 119.80 90.00 120.00
With the nearest neighbours (Å) after each atom.
Fractional coordinates of all 15 atoms:
Li 0.0000 0.0000 0.0000  6 Te 2.98-3.02
Li 0.0000 0.5000 0.0000  6 Te 2.98-3.02
Li 0.5000 0.5000 0.0000  6 Te 2.98-3.02
Np 0.5000 0.0000 0.5000  6 Te 3.04-3.08
Np 0.5000 0.5000 0.5000  6 Te 3.04-3.08
Np 0.0000 0.5000 0.5000  6 Te 3.04-3.08
Ag 0.0000 0.0000 0.5000  6 Te 3.05
Te 0.2459 0.4920 0.2381  3 Li 2.98, 3 Np 3.08
Te 0.7541 0.5080 0.7619  3 Li 2.98, 3 Np 3.08
Te 0.7489 0.4976 0.2470  2 Li 3.02, 2 Np 3.04, 1 Ag 3.05
Te 0.2511 0.5024 0.7530  2 Li 3.02, 2 Np 3.04, 1 Ag 3.05
Te 0.7488 0.9983 0.2470  2 Li 3.02, 2 Np 3.04, 1 Ag 3.05
Te 0.2512 0.0017 0.7530  2 Li 3.02, 2 Np 3.04, 1 Ag 3.05
Te 0.2494 0.9982 0.2470  2 Li 3.02, 2 Np 3.04, 1 Ag 3.05
Te 0.7506 0.0018 0.7530  2 Li 3.02, 2 Np 3.04, 1 Ag 3.05

Properties
Density in g/cm³: 6.93
Formation energy without anion corrections in eV/atom: -0.6150
Uncorrected energy in eV/atom: -5.452
Crystal system: trigonal
Size of the total moment in μB/cell: 9.5

---

Density functional theory data (GGA-PBE) for an optimized crystal structure of Ge2PdRuAu.

a b c (Å): 4.7904 5.0563 4.7904
angles (deg): 90.00 90.00 90.00
With the nearest neighbours (Å) after each atom.
Fractional coordinates of all 5 atoms:
Ru 0.5000 0.5000 0.5000  4 Pd 3.39, 8 Ge 3.48
Ge 0.0000 0.0000 0.5000  2 Au 2.40
Ge 0.5000 0.0000 0.0000  2 Au 2.40
Au 0.0000 0.0000 0.0000  4 Ge 2.40, 2 Pd 2.53
Pd 0.0000 0.5000 0.0000  2 Au 2.53

Properties
Density in g/cm³: 7.87
Formation enthalpy at 0 K in eV/atom: 1.267
Uncorrected energy in eV/atom: -4.130
Crystal system: tetragonal
Size of the total moment in μB/cell: 2.7

---

Density functional theory data (GGA-PBE) for an optimized crystal structure of CsAgPdN2.

a b c (Å): 4.3677 6.2555 4.3677
angles (deg): 90.00 90.00 90.00
With the nearest neighbours (Å) after each atom.
Fractional coordinates of all 5 atoms:
Cs 0.0000 0.0000 0.0000  4 N 2.18
Pd 0.5000 0.5000 0.5000  4 Ag 3.09
Ag 0.0000 0.5000 0.0000  4 Pd 3.09, 2 Cs 3.13
N 0.0000 0.0000 0.5000  2 Cs 2.18
N 0.5000 0.0000 0.0000  2 Cs 2.18

Properties
Density in g/cm³: 5.22
_The text goes on_

    come to NZ when you get more that 3 days holiday :-)

  5. no..recipe...*feels devastated*

    im going to head over to the blog you linked, im interested in what the filling is made of. great pictures by the way!

____________
No. 1
12
Lattice="4.284 0.000 0.000 0.000 4.979 0.000 0.000 0.000 15.401" Properties=species:S:1:pos:R:3 comment="Ba2CdSi3 (PBE, relaxed)" magnetic_moment_mub_per_atom=0.0002 e_tot_ev_per_atom=-3.8116 space_group="Imm2 (44)" n_ef_per_ev_atom=0.570 pbc="T T T"
Ba 0.000 0.000 0.000
Ba 0.000 2.489 4.115
Ba 2.142 0.000 11.816
Ba 2.142 2.489 7.700
Cd 0.000 0.000 9.122
Cd 2.142 2.489 1.421
Si 0.000 0.000 6.423
Si 0.000 2.489 10.477
Si 0.000 2.489 12.852
Si 2.142 0.000 2.777
Si 2.142 0.000 5.152
Si 2.142 2.489 14.124



No. 2
12
Lattice="2.969 -8.957 0.000 2.969 8.957 0.000 0.000 0.000 8.442" Properties=species:S:1:pos:R:3 comment="Ba6Cd5Si (PBE, relaxed)" magnetic_moment_mub_per_atom=0.0000 e_tot_ev_per_atom=-2.0900 space_group="Cmmm (65)" n_ef_per_ev_atom=0.724 pbc="T T T"
Ba 0.000 0.000 1.979
Ba 0.000 0.000 6.463
Ba 2.969 2.866 2.052
Ba 2.969 2.866 6.390
Ba 2.969 -2.866 2.052
Ba 2.969 -2.866 6.390
Cd 2.969 5.892 4.221
Cd 2.969 5.858 0.000
Cd 2.969 0.000 4.221
Cd 2.969 -5.858 0.000
Cd 2.969 -5.892 4.221
Si 2.969 0.000 0.000



No. 3
6
Lattice="0.000 4.056 4.056 4.056 0.000 4.056 4.056 4.056 0.000" Properties=species:S:1:pos:R:3 comment="BaCdSi4 (PBE, relaxed)" magnetic_moment_mub_per_atom=0.0000 e_tot_ev_per_atom=-3.9043 space_group="F-43m (216)" n_ef_per_ev_atom=0.554 pbc="T T T"
Ba 0.000 0.000 0.000
Cd 6.084 6.084 6.084
Si 3.166 3.166 3.166
Si 4.946 4.946 3.166
Si 4.946 3.166 4.946
Si 3.166 4.946 4.946



No. 4
4
Lattice="3.996 0.000 0.000 0.000 4.152 0.000 0.000 0.000 8.540" Properties=species:S:1:pos:R:3 comment="Ba2CdSi (PBE, relaxed)" magnetic_moment_mub_per_atom=0.0000 e_tot_ev_per_atom=-2.7722 space_group="Pmmm (47)" n_ef_per_ev_atom=0.666 pbc="T T T"
Ba 0.000 0.000 1.881
Ba 0.000 0.000 6.658
Cd 1.998 2.076 4.270
Si 1.998 2.076 0.000



No. 5
4
Lattice="4.190 0.000 0.000 0.000 5.451 0.000 0.000 0.000 6.981" Properties=species:S:1:pos:R:3 comment="Ba2CdSi (PBE, relaxed)" magnetic_moment_mub_per_atom=0.0000 e_tot_ev_per_atom=-2.5198 space_group="Pmm2 (25)" n_ef_per_ev_atom=0.796 pbc="T T T"
Ba 0.000 0.000 0.000
Ba 2.095 2.726 3.026
Cd 0.000 0.000 3.635
Si 2.095 2.726 6.372



No. 6
8
Lattice="6.474 0.000 0.000 0.000 11.986 0.000 -1.563 0.000 2.920" Properties=species:S:1:pos:R:3 comment="BaCd2Si (PBE, relaxed)" magnetic_moment_mub_per_atom=0.0000 e_tot_ev_per_atom=-2.1145 space_group="C2/m (12)" n_ef_per_ev_atom=0.529 pbc="T T T"
Ba 0.000 0.000 0.000
Ba 3.237 5.993 0.000
Cd 0.837 2.996 1.460
Cd 0.837 8.989 1.460
Cd 4.074 2.996 1.460
Cd 4.074 8.989 1.460
Si 0.000 5.993 0.000
Si 3.237 0.000 0.000



No. 7
12
Lattice="4.103 0.000 0.000 0.000 5.144 0.000 0.000 0.000 16.620" Properties=species:S:1:pos:R:3 comment="BaCdSi (PBE, relaxed)" magnetic_moment_mub_per_atom=0.0000 e_tot_ev_per_atom=-3.1255 space_group="Imma (74)" n_ef_per_ev_atom=0.494 pbc="T T T"
Ba 0.000 1.286 2.376
Ba 0.000 3.858 14.244
Ba 2.052 1.286 5.934
Ba 2.052 3.858 10.686
Cd 0.000 1.286 9.026
Cd 0.000 3.858 7.594
Cd 2.052 1.286 15.904
Cd 2.052 3.858 0.716
Si 0.000 1.286 11.803
____________

  6. Oooh yummy! I have never tried a whoopie pie because I don't think they are available/popular here in Canada. But I have heard a lot about them in the vegan community and now I want to taste one - they look sooo delicious!

  7. whoopie pies are the new cupcakes. :-)
